The Xinh mun

02:45 PM 22/01/2016 Views: 5432 Print

Between two parts of the piece: data records.
- - -
Record 1
## InHgTeN2 (GGA-PBEsol)

Data for a relaxed InHgTeN2 crystal.

Computed properties:
- formation energy from raw total energies (eV/f.u.) = 6.49

Unit cell a=4.241 b=4.241 c=6.155 alpha=90.00 beta=90.00 gamma=90.00
Space group P4/mmm (No. 123)
Inequivalent atoms, fractional coordinates:
1 In 0.000 0.000 0.000 (multiplicity 1)
2 Hg 0.500 0.500 0.500 (multiplicity 1)
3 Te 0.000 0.000 0.500 (multiplicity 1)
4 N 0.000 0.500 0.000 (multiplicity 2)

---

Record 2
## FeCu2Pt (GGA-PBEsol)

Data for a relaxed FeCu2Pt crystal.

Computed properties:
- E_form (eV per atom) = 0.046

Unit cell a=2.6151 b=2.6151 c=25.3493 alpha=90.00 beta=90.00 gamma=120.00
Space group R-3m (No. 166, hexagonal axes)
Inequivalent atoms, fractional coordinates:
1 Fe 0.0000 0.0000 0.0000 (multiplicity 3)
2 Cu 0.0000 0.0000 0.2536 (multiplicity 6)
3 Pt 0.0000 0.0000 0.5000 (multiplicity 3)

---

Record 3
## CsKZn3 (GGA-PBEsol)

Data for a relaxed CsKZn3 crystal.

Computed properties:
- E_form (eV per atom) = 0.640
- excess energy over the best structure of this formula in the dataset (meV/atom) = 0.0

Unit cell a=6.057 b=6.057 c=6.057 alpha=90.00 beta=90.00 gamma=90.00
Space group Pm-3m (No. 221)
Inequivalent atoms, fractional coordinates:
1 Cs 0.000 0.000 0.000 (multiplicity 1)
2 K 0.500 0.500 0.500 (multiplicity 1)
3 Zn 0.000 0.500 0.500 (multiplicity 3)

* * * * *

PmAg2Sn | PBE | relaxed

Cell: 4.5317 4.5317 4.5960 Å, 90.00 90.00 90.00°
With the nearest neighbours (Å) after each atom.
Sites, in units of the cell vectors:
Pm 0.0000 0.0000 0.0000  4 Sn 3.20, 8 Ag 3.23
Ag 0.0000 0.5000 0.5000  4 Ag 3.20, 4 Sn 3.23, 4 Pm 3.23
Ag 0.5000 0.0000 0.5000  4 Ag 3.20, 4 Sn 3.23, 4 Pm 3.23
Sn 0.5000 0.5000 0.0000  4 Pm 3.20, 8 Ag 3.23

Values from the calculation:
Relative energy among the computed polymorphs ... 85 meV per atom
Symmetry ... P4/mmm, No. 123
Calculated volume ... 94.4 Å³ per cell
Energy relative to the elements ... -1.17 eV/f.u.
Total magnetization ... 0.00 μB/cell
- - -
The data records stop here.

With a population of more than 10,000 persons, the Xinh mun live in Son La and Lai Chau provinces in the Vietnamese - Lao border region. Their other names are Puoc and Pua. Their language belongs to the Mon-Khmer Group.

The Xinh mun chiefly grow glutinous rice and corn in burnt-over land and terraced fields. The digging stick or hoe is used depending on the incline of the slope, and a plough on flat land. In some areas, there are submerged ricefields. Formerly, buffaloes, goats and pigs were generally allowed to wander at will. Now, many villages have set up sheds and sties far from houses. Food gathering and hunting adds to the improvement of their living conditions. Fine and durable basketry articles are bartered with Thai and Lao for cloth and hardware. It is the habit of the Xinh-mun to chew betel, dye their teeth black, drink alcohol with pipes and eat spicy food.

The Xinh mun have abandoned their momadic life to settle in populous villages. Their houses on stilts have vaulted roofs shaped like a tortoise carapace with stairways at both ends of the house. The majority ofthe inhabitants have the family names of Vi and Lo. Those with the same name observe the same taboos. The children take the family name of the father. In the house, the husband (father) or the eldest brother, after the death of the father, holds an important position.

In marriage, the family of the groom must give money to the bride's family. After proposal, engagement and wedding, the husband lives in his wife's house. A few years later when the married couple have a few children, the wife is welcomed to her husband's house. In the period of matrilocality, the couple must change their own names and take another name given by the mother's younger brother, the wife's parents or the sorcerer.

Women often give birth at the family. When the child is a month old, he or she will be given name by the sorcerer at the request of the parents.


When a person dies, members of his family fire guns to announce the sad news to villagers. The dead is buried permanently.

The Xinh mun worship ancestors of two generations in a corner of the house but the rituals are held only when the family starts building a new house, takes new rice or organizes a wedding party. When the parents pass away, they are worshipped in a hut near the house. In production, the people hold many ceremonies and have many taboos. The villagers. jointly organize a ceremony in honour of the spirit of the village annually, and this is also the occasion to worship the spirits of persons died abnormally. They also participate in the yearly ceremony in honour of the spirits of the muong in the locality.